Exercise.
Duplicate the whole of the lines underneath verbatim, please.

Excerpt.
____________
[1]
# SbH24C6N3Cl6

A PBEsol-optimized structure of SbH24C6N3Cl6 (SCAN, Alexandria via LeMat-Bulk).

Values from the calculation:
Total DFT energy (no corrections): -6.869 eV per atom
SG: No. 2
N(E_F): 0.0000 states/eV/atom

a b c (Å): 9.401 10.037 11.148
angles (deg): 66.04 77.56 76.48
Positions (direct):
Sb (0.172, 0.486, 0.342)
Sb (0.828, 0.514, 0.658)
H (0.004, 0.173, 0.634)
H (0.034, 0.009, 0.881)
H (0.056, 0.017, 0.604)
H (0.073, 0.136, 0.039)
H (0.076, 0.850, 0.837)
H (0.106, 0.872, 0.442)
H (0.165, 0.078, 0.253)
H (0.176, 0.562, 0.854)
H (0.207, 0.916, 0.213)
H (0.253, 0.484, 0.671)
H (0.263, 0.288, 0.910)
H (0.275, 0.060, 0.880)
H (0.305, 0.347, 0.028)
H (0.305, 0.648, 0.632)
H (0.314, 0.880, 0.874)
H (0.352, 0.174, 0.631)
H (0.361, 0.585, 0.846)
H (0.385, 0.008, 0.619)
H (0.405, 0.919, 0.976)
H (0.427, 0.081, 0.233)
H (0.432, 0.490, 0.667)
H (0.448, 0.313, 0.904)
H (0.461, 0.903, 0.223)
H (0.477, 0.888, 0.438)
H (0.523, 0.112, 0.562)
H (0.539, 0.097, 0.777)
H (0.552, 0.687, 0.096)
H (0.568, 0.510, 0.333)
H (0.573, 0.919, 0.767)
H (0.595, 0.081, 0.024)
H (0.615, 0.992, 0.381)
H (0.639, 0.415, 0.154)
H (0.648, 0.826, 0.369)
H (0.686, 0.120, 0.126)
H (0.695, 0.352, 0.368)
H (0.695, 0.653, 0.972)
H (0.725, 0.940, 0.120)
H (0.737, 0.712, 0.090)
H (0.747, 0.516, 0.329)
H (0.793, 0.084, 0.787)
H (0.824, 0.438, 0.146)
H (0.835, 0.922, 0.747)
H (0.894, 0.128, 0.558)
H (0.924, 0.150, 0.163)
H (0.927, 0.864, 0.961)
H (0.944, 0.983, 0.396)
H (0.966, 0.991, 0.119)
H (0.996, 0.827, 0.366)
C (0.014, 0.072, 0.135)
C (0.117, 0.997, 0.238)
C (0.293, 0.516, 0.834)
C (0.330, 0.356, 0.924)
C (0.363, 0.966, 0.880)
C (0.487, 0.013, 0.769)
C (0.513, 0.987, 0.231)
C (0.637, 0.034, 0.120)
C (0.670, 0.644, 0.076)
C (0.707, 0.484, 0.166)
C (0.883, 0.003, 0.762)
C (0.986, 0.928, 0.865)
N (0.037, 0.914, 0.369)
N (0.323, 0.535, 0.692)
N (0.434, 0.081, 0.638)
N (0.566, 0.919, 0.362)
N (0.677, 0.465, 0.308)
N (0.963, 0.086, 0.631)
Cl (0.028, 0.314, 0.323)
Cl (0.139, 0.320, 0.643)
Cl (0.199, 0.626, 0.105)
Cl (0.266, 0.893, 0.560)
Cl (0.357, 0.646, 0.365)
Cl (0.393, 0.305, 0.327)
Cl (0.607, 0.695, 0.673)
Cl (0.643, 0.354, 0.635)
Cl (0.734, 0.107, 0.440)
Cl (0.801, 0.374, 0.895)
Cl (0.861, 0.680, 0.357)
Cl (0.972, 0.686, 0.677)

---

[2]
# Sb2H24C6N3Cl9

A PBEsol-optimized structure of Sb2H24C6N3Cl9 (SCAN, Alexandria via LeMat-Bulk).

Values from the calculation:
Total DFT energy (no corrections): -7.702 eV per atom
SG: No. 7
N(E_F): 0.0000 states/eV/atom

a b c (Å): 9.374 8.930 13.970
angles (deg): 90.00 95.32 90.00
Positions (direct):
Sb (0.000, 0.203, 0.000)
Sb (0.000, 0.797, 0.500)
Sb (0.309, 0.293, 0.665)
Sb (0.309, 0.707, 0.165)
H (0.041, 0.447, 0.385)
H (0.041, 0.553, 0.885)
H (0.061, 0.258, 0.430)
H (0.061, 0.742, 0.930)
H (0.142, 0.117, 0.245)
H (0.142, 0.883, 0.745)
H (0.191, 0.380, 0.261)
H (0.191, 0.620, 0.761)
H (0.228, 0.089, 0.364)
H (0.228, 0.911, 0.864)
H (0.277, 0.355, 0.372)
H (0.277, 0.645, 0.872)
H (0.331, 0.152, 0.269)
H (0.331, 0.848, 0.769)
H (0.380, 0.203, 0.076)
H (0.380, 0.797, 0.576)
H (0.418, 0.227, 0.908)
H (0.418, 0.773, 0.408)
H (0.429, 0.015, 0.485)
H (0.429, 0.985, 0.985)
H (0.452, 0.383, 0.046)
H (0.452, 0.617, 0.546)
H (0.547, 0.002, 0.390)
H (0.547, 0.998, 0.890)
H (0.568, 0.242, 0.105)
H (0.568, 0.758, 0.605)
H (0.595, 0.255, 0.937)
H (0.595, 0.745, 0.437)
H (0.617, 0.013, 0.014)
H (0.617, 0.987, 0.514)
H (0.644, 0.363, 0.604)
H (0.644, 0.637, 0.104)
H (0.760, 0.483, 0.745)
H (0.760, 0.517, 0.245)
H (0.769, 0.234, 0.490)
H (0.769, 0.766, 0.990)
H (0.778, 0.283, 0.753)
H (0.778, 0.717, 0.253)
H (0.780, 0.466, 0.573)
H (0.780, 0.534, 0.073)
H (0.786, 0.137, 0.603)
H (0.786, 0.863, 0.103)
H (0.926, 0.395, 0.719)
H (0.926, 0.605, 0.219)
H (0.931, 0.249, 0.569)
H (0.931, 0.751, 0.069)
H (0.971, 0.292, 0.313)
H (0.971, 0.708, 0.813)
C (0.057, 0.330, 0.366)
C (0.057, 0.670, 0.866)
C (0.227, 0.157, 0.299)
C (0.227, 0.843, 0.799)
C (0.474, 0.262, 0.053)
C (0.474, 0.738, 0.553)
C (0.526, 0.037, 0.962)
____________

Result.
[1]
# SbH24C6N3Cl6

A PBEsol-optimized structure of SbH24C6N3Cl6 (SCAN, Alexandria via LeMat-Bulk).

Values from the calculation:
Total DFT energy (no corrections): -6.869 eV per atom
SG: No. 2
N(E_F): 0.0000 states/eV/atom

a b c (Å): 9.401 10.037 11.148
angles (deg): 66.04 77.56 76.48
Positions (direct):
Sb (0.172, 0.486, 0.342)
Sb (0.828, 0.514, 0.658)
H (0.004, 0.173, 0.634)
H (0.034, 0.009, 0.881)
H (0.056, 0.017, 0.604)
H (0.073, 0.136, 0.039)
H (0.076, 0.850, 0.837)
H (0.106, 0.872, 0.442)
H (0.165, 0.078, 0.253)
H (0.176, 0.562, 0.854)
H (0.207, 0.916, 0.213)
H (0.253, 0.484, 0.671)
H (0.263, 0.288, 0.910)
H (0.275, 0.060, 0.880)
H (0.305, 0.347, 0.028)
H (0.305, 0.648, 0.632)
H (0.314, 0.880, 0.874)
H (0.352, 0.174, 0.631)
H (0.361, 0.585, 0.846)
H (0.385, 0.008, 0.619)
H (0.405, 0.919, 0.976)
H (0.427, 0.081, 0.233)
H (0.432, 0.490, 0.667)
H (0.448, 0.313, 0.904)
H (0.461, 0.903, 0.223)
H (0.477, 0.888, 0.438)
H (0.523, 0.112, 0.562)
H (0.539, 0.097, 0.777)
H (0.552, 0.687, 0.096)
H (0.568, 0.510, 0.333)
H (0.573, 0.919, 0.767)
H (0.595, 0.081, 0.024)
H (0.615, 0.992, 0.381)
H (0.639, 0.415, 0.154)
H (0.648, 0.826, 0.369)
H (0.686, 0.120, 0.126)
H (0.695, 0.352, 0.368)
H (0.695, 0.653, 0.972)
H (0.725, 0.940, 0.120)
H (0.737, 0.712, 0.090)
H (0.747, 0.516, 0.329)
H (0.793, 0.084, 0.787)
H (0.824, 0.438, 0.146)
H (0.835, 0.922, 0.747)
H (0.894, 0.128, 0.558)
H (0.924, 0.150, 0.163)
H (0.927, 0.864, 0.961)
H (0.944, 0.983, 0.396)
H (0.966, 0.991, 0.119)
H (0.996, 0.827, 0.366)
C (0.014, 0.072, 0.135)
C (0.117, 0.997, 0.238)
C (0.293, 0.516, 0.834)
C (0.330, 0.356, 0.924)
C (0.363, 0.966, 0.880)
C (0.487, 0.013, 0.769)
C (0.513, 0.987, 0.231)
C (0.637, 0.034, 0.120)
C (0.670, 0.644, 0.076)
C (0.707, 0.484, 0.166)
C (0.883, 0.003, 0.762)
C (0.986, 0.928, 0.865)
N (0.037, 0.914, 0.369)
N (0.323, 0.535, 0.692)
N (0.434, 0.081, 0.638)
N (0.566, 0.919, 0.362)
N (0.677, 0.465, 0.308)
N (0.963, 0.086, 0.631)
Cl (0.028, 0.314, 0.323)
Cl (0.139, 0.320, 0.643)
Cl (0.199, 0.626, 0.105)
Cl (0.266, 0.893, 0.560)
Cl (0.357, 0.646, 0.365)
Cl (0.393, 0.305, 0.327)
Cl (0.607, 0.695, 0.673)
Cl (0.643, 0.354, 0.635)
Cl (0.734, 0.107, 0.440)
Cl (0.801, 0.374, 0.895)
Cl (0.861, 0.680, 0.357)
Cl (0.972, 0.686, 0.677)

---

[2]
# Sb2H24C6N3Cl9

A PBEsol-optimized structure of Sb2H24C6N3Cl9 (SCAN, Alexandria via LeMat-Bulk).

Values from the calculation:
Total DFT energy (no corrections): -7.702 eV per atom
SG: No. 7
N(E_F): 0.0000 states/eV/atom

a b c (Å): 9.374 8.930 13.970
angles (deg): 90.00 95.32 90.00
Positions (direct):
Sb (0.000, 0.203, 0.000)
Sb (0.000, 0.797, 0.500)
Sb (0.309, 0.293, 0.665)
Sb (0.309, 0.707, 0.165)
H (0.041, 0.447, 0.385)
H (0.041, 0.553, 0.885)
H (0.061, 0.258, 0.430)
H (0.061, 0.742, 0.930)
H (0.142, 0.117, 0.245)
H (0.142, 0.883, 0.745)
H (0.191, 0.380, 0.261)
H (0.191, 0.620, 0.761)
H (0.228, 0.089, 0.364)
H (0.228, 0.911, 0.864)
H (0.277, 0.355, 0.372)
H (0.277, 0.645, 0.872)
H (0.331, 0.152, 0.269)
H (0.331, 0.848, 0.769)
H (0.380, 0.203, 0.076)
H (0.380, 0.797, 0.576)
H (0.418, 0.227, 0.908)
H (0.418, 0.773, 0.408)
H (0.429, 0.015, 0.485)
H (0.429, 0.985, 0.985)
H (0.452, 0.383, 0.046)
H (0.452, 0.617, 0.546)
H (0.547, 0.002, 0.390)
H (0.547, 0.998, 0.890)
H (0.568, 0.242, 0.105)
H (0.568, 0.758, 0.605)
H (0.595, 0.255, 0.937)
H (0.595, 0.745, 0.437)
H (0.617, 0.013, 0.014)
H (0.617, 0.987, 0.514)
H (0.644, 0.363, 0.604)
H (0.644, 0.637, 0.104)
H (0.760, 0.483, 0.745)
H (0.760, 0.517, 0.245)
H (0.769, 0.234, 0.490)
H (0.769, 0.766, 0.990)
H (0.778, 0.283, 0.753)
H (0.778, 0.717, 0.253)
H (0.780, 0.466, 0.573)
H (0.780, 0.534, 0.073)
H (0.786, 0.137, 0.603)
H (0.786, 0.863, 0.103)
H (0.926, 0.395, 0.719)
H (0.926, 0.605, 0.219)
H (0.931, 0.249, 0.569)
H (0.931, 0.751, 0.069)
H (0.971, 0.292, 0.313)
H (0.971, 0.708, 0.813)
C (0.057, 0.330, 0.366)
C (0.057, 0.670, 0.866)
C (0.227, 0.157, 0.299)
C (0.227, 0.843, 0.799)
C (0.474, 0.262, 0.053)
C (0.474, 0.738, 0.553)
C (0.526, 0.037, 0.962)